[Excerpt]
'''
No. 1
Structure and computed X-ray powder pattern of Pa2VCoN5 (a crystal structure in Alexandria, relaxed with PBE; Cu Kα).
Intensities are scaled so that the largest is 100.

a = 6.5517 Å, b = 6.5517 Å, c = 9.8974 Å
α = 90.00°, β = 90.00°, γ = 151.29°
Atoms (fractional coordinates):
Pa  0.1056  0.8944  0.5000
Pa  0.1458  0.8542  0.1292
Pa  0.8542  0.1458  0.6292
Pa  0.8944  0.1056  0.0000
V  0.1947  0.8053  0.8324
V  0.8053  0.1947  0.3324
Co  0.4663  0.5337  0.2711
Co  0.5337  0.4663  0.7711
N  0.0562  0.9438  0.8823
N  0.2819  0.7181  0.4781
N  0.3218  0.6782  0.1953
N  0.3673  0.6327  0.8168
N  0.4884  0.5116  0.5883
N  0.5116  0.4884  0.0883
N  0.6327  0.3673  0.3168
N  0.6782  0.3218  0.6953
N  0.7181  0.2819  0.9781
N  0.9438  0.0562  0.3823

Most intense lines, 2θ = 5–70°, sorted by position:
2θ = 17.9°, 4.949 Å, I = 37.1
2θ = 28.1°, 3.174 Å, I = 36.4
2θ = 28.4°, 3.147 Å, I = 39.9
2θ = 30.5°, 2.927 Å, I = 100.0
2θ = 33.5°, 2.671 Å, I = 34.1
2θ = 33.7°, 2.656 Å, I = 52.0
2θ = 34.8°, 2.577 Å, I = 51.1
2θ = 39.6°, 2.277 Å, I = 70.8

---

No. 2
Structure and computed X-ray powder pattern of Pa2ZnCoN5 (a crystal structure in Alexandria, relaxed with PBE; Cu Kα).
Intensities are scaled so that the largest is 100.

a = 7.3882 Å, b = 7.3882 Å, c = 8.6516 Å
α = 90.00°, β = 90.00°, γ = 154.05°
Atoms (fractional coordinates):
Pa  0.1254  0.8746  0.5000
Pa  0.1338  0.8662  0.0497
Pa  0.8662  0.1338  0.5497
Pa  0.8746  0.1254  0.0000
Zn  0.4787  0.5213  0.2730
Zn  0.5213  0.4787  0.7730
Co  0.2302  0.7698  0.7720
Co  0.7698  0.2302  0.2720
N  0.0956  0.9044  0.7820
N  0.2775  0.7225  0.4122
N  0.2851  0.7149  0.1304
N  0.3706  0.6294  0.7510
N  0.4894  0.5106  0.0208
N  0.5106  0.4894  0.5208
N  0.6294  0.3706  0.2510
N  0.7149  0.2851  0.6304
N  0.7225  0.2775  0.9122
N  0.9044  0.0956  0.2820

Most intense lines, 2θ = 5–70°, sorted by position:
2θ = 20.5°, 4.326 Å, I = 48.8
2θ = 24.7°, 3.600 Å, I = 39.4
2θ = 27.6°, 3.233 Å, I = 30.9
2θ = 32.4°, 2.767 Å, I = 100.0
2θ = 32.8°, 2.729 Å, I = 69.4
2θ = 34.6°, 2.590 Å, I = 77.9
2θ = 39.0°, 2.309 Å, I = 40.2
2θ = 56.8°, 1.621 Å, I = 33.4

---

No. 3
Structure and computed X-ray powder pattern of PmCoN3 (a crystal structure in Alexandria, relaxed with PBE; Cu Kα).
Intensities are scaled so that the largest is 100.

a = 5.7375 Å, b = 5.7375 Å, c = 7.4540 Å
α = 103.84°, β = 103.84°, γ = 39.70°
Atoms (fractional coordinates):
Pm  0.1666  0.1666  0.3073
Pm  0.8334  0.8334  0.6927
Co  0.4566  0.4566  0.3422
Co  0.5434  0.5434  0.6578
N  0.3516  0.3516  0.9488
N  0.3672  0.3672  0.5257
N  0.3909  0.3909  0.1119
N  0.6091  0.6091  0.8881
N  0.6328  0.6328  0.4743
N  0.6484  0.6484  0.0512

Most intense lines, 2θ = 5–70°, sorted by position:
2θ = 12.3°, 7.209 Å, I = 88.1
2θ = 18.3°, 4.854 Å, I = 45.9
2θ = 24.7°, 3.604 Å, I = 35.9
2θ = 26.4°, 3.380 Å, I = 95.6
2θ = 28.4°, 3.146 Å, I = 79.2
2θ = 33.4°, 2.685 Å, I = 100.0
2θ = 34.4°, 2.605 Å, I = 50.6
2θ = 34.6°, 2.595 Å, I = 67.0

---

No. 4
Structure and computed X-ray powder pattern of Pu2CoTcN5 (a crystal structure in Alexandria, relaxed with PBE; Cu Kα).
Intensities are scaled so that the largest is 100.

a = 6.5157 Å, b = 6.5157 Å, c = 9.7579 Å
α = 90.00°, β = 90.00°, γ = 151.08°
Atoms (fractional coordinates):
Pu  0.1035  0.8965  0.5000
Pu  0.1499  0.8501  0.1281
Pu  0.8501  0.1499  0.6281
Pu  0.8965  0.1035  0.0000
Co  0.4736  0.5264  0.2684
Co  0.5264  0.4736  0.7684
Tc  0.2009  0.7991  0.8376
Tc  0.7991  0.2009  0.3376
N  0.0506  0.9494  0.8686
N  0.2839  0.7161  0.4717
N  0.3234  0.6766  0.1864
N  0.3710  0.6290  0.8138
N  0.4845  0.5155  0.5850
N  0.5155  0.4845  0.0850
N  0.6290  0.3710  0.3138
N  0.6766  0.3234  0.6864
N  0.7161  0.2839  0.9717
N  0.9494  0.0506  0.3686

Most intense lines, 2θ = 5–70°, sorted by position:
2θ = 28.3°, 3.152 Å, I = 69.0
2θ = 29.8°, 3.001 Å, I = 39.7
2θ = 30.9°, 2.891 Å, I = 100.0
2θ = 33.9°, 2.648 Å, I = 83.5
2θ = 34.9°, 2.574 Å, I = 60.0
2θ = 39.8°, 2.263 Å, I = 86.7
2θ = 59.4°, 1.556 Å, I = 41.1
'''

[Wanted]
Your job: say how many lines of the listing above hold the word "largest", as a bare number.

[Here it is]
4